The reader should search the entries further down for the word "gap_ev" and print each line that has it.

Entry 1:
{"formula": "C25H24ClN3PdSb", "method": "the ωB97M-V functional and the def2-TZVPD basis", "symbols": ["Sb", "Pd", "Cl", "N", "N", "N", "C", "C", "C", "C", "C", "C", "C", "C", "C", "C", "C", "C", "C", "C", "C", "C", "C", "C", "C", "C", "C", "C", "C", "C", "C", "H", "H", "H", "H", "H", "H", "H", "H", "H", "H", "H", "H", "H", "H", "H", "H", "H", "H", "H", "H", "H", "H", "H", "H"], "xyz": [[-0.7263, -3.5203, -0.6663], [-0.4632, -0.1655, -0.0038], [1.8109, 0.8331, -0.3361], [-0.3914, -0.8937, -2.2169], [0.4667, -1.6902, 1.4880], [-2.3914, -1.1005, 0.2367], [-0.2349, 3.0174, 0.7342], [0.5990, -0.6274, -4.3638], [1.5900, -3.7872, 1.3002], [-2.4479, -2.4168, -0.0331], [3.8209, 4.1830, 0.3869], [3.4563, 2.8862, 0.0419], [1.0424, -0.0240, 3.1651], [-0.0631, -0.1125, -3.2493], [2.1381, 2.5042, 0.1519], [2.2586, -2.2147, 2.9629], [2.8524, 5.0776, 0.8355], [1.5397, 4.6800, 0.9403], [1.1159, 3.3671, 0.6036], [1.2610, -1.3530, 2.5072], [-0.4381, 1.3372, -3.1864], [-0.0923, -2.2072, -2.2526], [0.5622, -2.7760, -3.3302], [0.6195, -2.8897, 0.8933], [0.9242, -1.9660, -4.4014], [-4.7059, -1.1126, 0.7754], [-3.4919, -0.4499, 0.6330], [-3.3574, 1.0131, 0.9165], [2.4328, -3.4368, 2.3500], [-4.7817, -2.4629, 0.5033], [-3.6329, -3.1243, 0.0917], [0.4860, 0.6482, 2.5120], [-5.5765, -0.5585, 1.0979], [3.2064, -4.1157, 2.6843], [-2.9878, 1.5403, 0.0345], [0.3675, 1.9673, -3.5628], [0.8530, 0.0300, -5.1845], [-0.5890, 2.0192, 0.5084], [-1.3202, 1.5277, -3.8011], [-4.3124, 1.4478, 1.2039], [-0.9519, 3.7445, 1.0860], [0.4748, -0.1508, 4.0894], [0.7833, -3.8356, -3.3408], [-3.6545, -4.1829, -0.1317], [3.1292, 6.0882, 1.1029], [2.8863, -1.9120, 3.7902], [1.4451, -2.3837, -5.2531], [4.1935, 2.1792, -0.3121], [4.8551, 4.4863, 0.3027], [1.9910, 0.4465, 3.4232], [0.7874, 5.3758, 1.2893], [-2.6431, 1.1814, 1.7254], [1.6879, -4.7487, 0.8128], [-0.6660, 1.6335, -2.1628], [-5.7173, -2.9959, 0.6081]], "lowdin_charge": [1.528, 0.531, 0.763, -0.009, -0.009, -0.033, 0.074, -0.012, -0.121, -0.440, -0.059, -0.109, -0.029, -0.337, -0.523, -0.012, -0.067, -0.029, -0.314, -0.333, -0.033, -0.448, -0.121, -0.447, -0.043, -0.007, -0.308, -0.035, -0.043, -0.038, -0.118, 0.039, 0.120, 0.117, 0.077, 0.089, 0.122, -0.024, 0.093, 0.085, 0.075, 0.094, 0.091, 0.090, 0.113, 0.122, 0.117, 0.107, 0.112, 0.090, 0.118, 0.079, 0.091, 0.041, 0.119], "multiplicity": 3, "gap_ev": [7.8, 7.6], "homo_energy_ev": [-10.14, -11.05], "total_charge": 1, "fmax_ev_per_a": 0.5}

---

Entry 2:

{"formula": "C25H24ClN3PdSb", "method": "the ωB97M-V functional and the def2-TZVPD basis", "symbols": ["Sb", "Pd", "Cl", "N", "N", "N", "C", "C", "C", "C", "C", "C", "C", "C", "C", "C", "C", "C", "C", "C", "C", "C", "C", "C", "C", "C", "C", "C", "C", "C", "C", "H", "H", "H", "H", "H", "H", "H", "H", "H", "H", "H", "H", "H", "H", "H", "H", "H", "H", "H", "H", "H", "H", "H", "H"], "xyz": [[-0.7263, -3.5203, -0.6663], [-0.4632, -0.1655, -0.0038], [1.8109, 0.8331, -0.3361], [-0.3914, -0.8937, -2.2169], [0.4667, -1.6902, 1.4880], [-2.3914, -1.1005, 0.2367], [-0.2349, 3.0174, 0.7342], [0.5990, -0.6274, -4.3638], [1.5900, -3.7872, 1.3002], [-2.4479, -2.4168, -0.0331], [3.8209, 4.1830, 0.3869], [3.4563, 2.8862, 0.0419], [1.0424, -0.0240, 3.1651], [-0.0631, -0.1125, -3.2493], [2.1381, 2.5042, 0.1519], [2.2586, -2.2147, 2.9629], [2.8524, 5.0776, 0.8355], [1.5397, 4.6800, 0.9403], [1.1159, 3.3671, 0.6036], [1.2610, -1.3530, 2.5072], [-0.4381, 1.3372, -3.1864], [-0.0923, -2.2072, -2.2526], [0.5622, -2.7760, -3.3302], [0.6195, -2.8897, 0.8933], [0.9242, -1.9660, -4.4014], [-4.7059, -1.1126, 0.7754], [-3.4919, -0.4499, 0.6330], [-3.3574, 1.0131, 0.9165], [2.4328, -3.4368, 2.3500], [-4.7817, -2.4629, 0.5033], [-3.6329, -3.1243, 0.0917], [0.4860, 0.6482, 2.5120], [-5.5765, -0.5585, 1.0979], [3.2064, -4.1157, 2.6843], [-2.9878, 1.5403, 0.0345], [0.3675, 1.9673, -3.5628], [0.8530, 0.0300, -5.1845], [-0.5890, 2.0192, 0.5084], [-1.3202, 1.5277, -3.8011], [-4.3124, 1.4478, 1.2039], [-0.9519, 3.7445, 1.0860], [0.4748, -0.1508, 4.0894], [0.7833, -3.8356, -3.3408], [-3.6545, -4.1829, -0.1317], [3.1292, 6.0882, 1.1029], [2.8863, -1.9120, 3.7902], [1.4451, -2.3837, -5.2531], [4.1935, 2.1792, -0.3121], [4.8551, 4.4863, 0.3027], [1.9910, 0.4465, 3.4232], [0.7874, 5.3758, 1.2893], [-2.6431, 1.1814, 1.7254], [1.6879, -4.7487, 0.8128], [-0.6660, 1.6335, -2.1628], [-5.7173, -2.9959, 0.6081]], "lowdin_charge": [1.528, 0.531, 0.763, -0.009, -0.009, -0.033, 0.074, -0.012, -0.121, -0.440, -0.059, -0.109, -0.029, -0.337, -0.523, -0.012, -0.067, -0.029, -0.314, -0.333, -0.033, -0.448, -0.121, -0.447, -0.043, -0.007, -0.308, -0.035, -0.043, -0.038, -0.118, 0.039, 0.120, 0.117, 0.077, 0.089, 0.122, -0.024, 0.093, 0.085, 0.075, 0.094, 0.091, 0.090, 0.113, 0.122, 0.117, 0.107, 0.112, 0.090, 0.118, 0.079, 0.091, 0.041, 0.119], "multiplicity": 3, "gap_ev": [7.8, 7.6], "homo_energy_ev": [-10.14, -11.05], "total_charge": 1, "fmax_ev_per_a": 0.5}